Literacy Program

As parents, when our kids are having difficulty learning to read and spell, we often hear :

“Your child is young…they’ll catch up”.

But current research in this area consistently indicates that:

Children who are poor readers at the end of first grade almost never acquire average-level reading skills by the end of elementary school without intensive intervention.

- Fletcher et al. (2019)

Even more importantly, research also indicates the following:

In order to close the “reading gap”, a child with Dyslexia who is not identified early (prior to grade 2) may require as much as 150 to 300 hours of intense instruction in 60 minute to 90 minute blocks. The longer the delay in intervention, the longer it will take a child to catch up.

- Fletcher et al. (2019)

Fletcher, J. M., Lyon, G. R., Fuchs, L. S., & Barnes, M. A. (2019). Learning disabilities: From identification to intervention (2nd ed.). The Guilford Press.

The Avery STARS Literacy Program is designed for children aged 6 onward who are struggling with their reading, spelling, and writing development, including students diagnosed with Dyslexia.

This is not a traditional “reading tutoring” program where a tutor works on school-related activities and homework. Instead, we provide one-on-one targeted instruction in fundamental skills related to reading and writing that will impact how your child performs across all academic subjects.

We use the Barton Reading System, a Structured Literacy program that is based on phonological coding research and Orton-Gillingham (OG) principles. This program is grounded in the Science of Reading research as one of the best methods for teaching struggling readers how to read and spell. Your child will receive systematic and intensive reading and spelling instruction based on their areas of need to become a reading, spelling, and writing STAR.

We know that many kids who struggle to read are also dealing with other things: Anxiety, ADHD, behaviour challenges, and such. We work very hard to meet EVERY child where they are at in order to set them up to be successful and tailor their program as needed.

Research in improving literacy outcomes for at-risk readers and Dyslexic students indicates that frequent and intense (the amount of time doing instruction) instruction is critical in helping to close their literacy gap. We recommend a minimum of 3-4 hours per week of one-on-one instruction. That said, if you can only make 1-2 hours/week work, that’s better than 0 hours!

We are here to help your child:

- Monday - Friday: 8 AM - 5 PM

# Next to the entry, the page also holds materials data
____________
DFT (PBE) results for a geometry-optimized CeCd2Cu structure.

a b c (Å): 7.0399 7.0399 7.0399
angles (deg): 90.00 90.00 90.00
Last column: nearest neighbours and their distance in Å.
Space group F-43m (No. 216)
Asymmetric unit:
Ce 0.0000 0.0000 0.0000 [4 per cell]  4 Cd 3.05, 4 Cu 3.05
Cd 0.0000 0.0000 0.5000 [4 per cell]  4 Cu 3.05, 4 Cd 3.05
Cd 0.2500 0.2500 0.7500 [4 per cell]  4 Cd 3.05, 4 Ce 3.05
Cu 0.2500 0.2500 0.2500 [4 per cell]  4 Cd 3.05, 4 Ce 3.05

Results
* ρ: 8.2 Mg/m³
* energy relative to the elements: -126 meV per atom

=====

DFT (PBE) results for a geometry-optimized CeCdCu structure.

a b c (Å): 4.8032 4.8032 3.2666
angles (deg): 90.00 90.00 120.00
Last column: nearest neighbours and their distance in Å.
Space group P-6m2 (No. 187)
Asymmetric unit:
Ce 0.0000 0.0000 0.0000 [1 per cell]  6 Cd 3.22, 6 Cu 3.22, 2 Ce 3.27
Cd 0.3333 0.6667 0.5000 [1 per cell]  3 Cu 2.77
Cu 0.6667 0.3333 0.5000 [1 per cell]  3 Cd 2.77

Results
* ρ: 8.0 Mg/m³
* energy relative to the elements: -130 meV per atom

=====

DFT (PBE) results for a geometry-optimized Ce2CdHg structure.

a b c (Å): 7.7012 7.7012 7.7012
angles (deg): 90.00 90.00 90.00
Last column: nearest neighbours and their distance in Å.
Space group Fm-3m (No. 225)
Asymmetric unit:
Ce 0.2500 0.2500 0.2500 [8 per cell]  4 Hg 3.33, 4 Cd 3.33
Cd 0.0000 0.0000 0.0000 [4 per cell]  8 Ce 3.33
Hg 0.0000 0.0000 0.5000 [4 per cell]  8 Ce 3.33

Results
* ρ: 8.6 Mg/m³
* energy relative to the elements: -193 meV per atom

=====

DFT (PBE) results for a geometry-optimized CeCdHg2 structure.

a b c (Å): 7.3761 7.3761 7.3761
angles (deg): 90.00 90.00 90.00
Last column: nearest neighbours and their distance in Å.
Space group Fm-3m (No. 225)
Asymmetric unit:
Ce 0.0000 0.0000 0.0000 [4 per cell]  8 Hg 3.19
Cd 0.0000 0.0000 0.5000 [4 per cell]  8 Hg 3.19
Hg 0.2500 0.2500 0.2500 [8 per cell]  4 Cd 3.19, 4 Ce 3.19

Results
* ρ: 10.8 Mg/m³
* energy relative to the elements: -346 meV per atom

=====

DFT (PBE) results for a geometry-optimized CeCdIn structure.

a b c (Å): 4.9997 4.9997 7.3493
angles (deg): 90.00 90.00 120.00
Last column: nearest neighbours and their distance in Å.
Space group P-3m1 (No. 164)
Asymmetric unit:
Ce 0.0000 0.0000 0.2401 [2 per cell]  6 In 3.30-3.64, 6 Cd 3.31-3.46, 1 Ce 3.53
Cd 0.3333 0.6667 0.0206 [2 per cell]  3 Cd 2.90, 1 In 3.22
In 0.3333 0.6667 0.4585 [2 per cell]  3 In 2.95, 1 Cd 3.22, 3 Ce 3.30

Results
* ρ: 7.7 Mg/m³
* energy relative to the elements: -301 meV per atom

=====

DFT (PBE) results for a geometry-optimized CeCdO3 structure.

a b c (Å): 6.0025 8.4810 6.0058
angles (deg): 90.00 90.44 90.00
Last column: nearest neighbours and their distance in Å.
Space group P2_1/m (No. 11)
Asymmetric unit:
Ce 0.0000 0.0000 0.0000 [2 per cell]  6 O 2.24-2.30
Ce 0.5000 0.0000 0.5000 [2 per cell]  6 O 2.24-2.30
Cd 0.0163 0.2500 0.5164 [2 per cell]  4 O 2.23-2.30
Cd 0.4651 0.2500 0.9642 [2 per cell]  6 O 2.46-2.55
O 0.0602 0.2500 0.8973 [2 per cell]  2 Ce 2.24, 2 Cd 2.30-2.46
____________

We charge an hourly rate of $60/hour which can either be paid per session or in advance of a block of sessions.

Click the box below to learn more about how Avery can help your child become a reader with the STARS intensive reading intervention program.


STARS Literacy Program.

“5+++ star review of Kyle at the Avery FSPS STARS Literacy Program. We were offered the opportunity to let my son try out their Literacy Program they just set up and I have to say, it blew my mind. Sam is a kid with severe behaviour issues, a kid with an ODD diagnosis, a severe speech disorder, a kid who was seriously failed by the school system and therefore fights all structured instruction... I was so scared. I was expecting a huge fight, expecting to drag him in kicking and screaming a few times before giving up half way through.

Sam is extremely bright and he loves to work the system when he doesn't want to do something. We have been asked to leave more classes than I can remember. From the first day with Kyle it was like a switch flipped in him. The second day was rocky but Kyle said hey its OK we all have bad days. We won't give up! Day 3 and on much to my shock he went- HAPPILY- to see Kyle. I can't emphasize enough how huge this was, he NEVER has consistently come out of any class (sports included) with a smile like this, the pride over flowing out of him. Nearly every day following was a smile day, a "I'm going to see Kyle!" day. Minimal fighting, minimal bribery, he left almost every single day with a beaming smile and a new secret to tell me about what he worked on.

I don't know how Kyle got through to Sam but he did. It's rare Sam trusts anyone after having some negative experiences, Kyle cracked the code. A mere few weeks after Sam started, I was gifted the most amazing letter pictured below. This is a few weeks of progress starting at ZERO language skills.

He never seemed to be able to retain anything I tried to teach him, letters were like hieroglyphics. Kyle broke through and somehow had him motivated to retain the information! He went from knowing zero letter sounds to knowing all of them, from zero words recognized to reading beginner level books. BOOKS!

If you're looking for an amazing program with an amazing teacher I can't recommend Avery FSPS highly enough. They are extremely educated and have personal experience with ADHD and kiddos with extra needs. This is not just their job this is their passion and they put so much love into it. They are located about as far away from us as they can get but I would do it again, worth every minute.”

-Sam’s Mom

Meet the STARS Literacy Team

  • Kyle

    Avery Co-Founder and Director of STARS Literacy Program (Barton Reading System Certified)

    Hi, I’m Kyle. I am a fully certified Barton Literacy instructor. I have had a lifelong passion for working with children, including 17 years working as a leader with youth church programs. I particularly enjoyed being a team leader for a mission trip to Mexico that took 30 high school students to build a home, set up a medical clinic, and build relationships with local children. But the best? Being a camp counsellor at Camp Okotoks for kids ages 8-18 for several years. I approach my work with kids at Avery from a place of compassion, kindness, gentleness, and humour. I believe that building a trusting relationship with my students allows them to feel safe to take risks in their learning, and I love watching the daily gains they make! As a Barton Certified Reading Instructor, I love sharing my knowledge with my students and with the Literacy Team at Avery.

  • Erika

    STARS Literacy Instructor

    Hi, my name is Erika. I am a recent university graduate with a Bachelor's degree in Psychology (Honours with Distinction). During my studies, I also pursued minors in human development and counselling, as well as learning and developmental disabilities. Drawing from my personal experiences with overcoming learning challenges, I have developed a strong passion for assisting others in surpassing expectations and overcoming obstacles. I am particularly interested in supporting educational growth and seeing individuals flourish, which is why I aspire to work as a school psychologist in the future. As part of this journey, I am excited to have begun my studies as a graduate student in the MEd School and Applied Child Psychology program at the University of Calgary. I recently was given the opportunity to work at Avery FSPS, where I thoroughly enjoy my role as a reading instructor. To me, every moment spent with these youth presents a valuable opportunity to positively influence their lives, to inspire and encourage them, as we work together to build their reading and writing literacy skills.

  • Alyssa

    STARS Literacy Instructor

    Hello! My name is Alyssa, and I am currently a graduate student in the MEd School and Applied Child Psychology program at the University of Calgary. Before pursuing my Master's degree, I graduated with my Bachelor of Arts Honours degree in Psychology at UBC Okanagan. During my undergrad, I took the time to strengthen my research experience by working and volunteering in multiple labs. After gaining research experience, I took the opportunity to expand on my applied skills by working in clinical settings. For example, I have experience supporting children and youth with special needs in life skills and academics. Specifically, I have worked closely with youth diagnosed with Autism Spectrum Disorder, ADHD, and intellectual disabilities, to name a few. My position as a STARS Literacy Instructor will help me achieve my goal to work as a School Psychologist in the future. With patience, understanding, and targeted interventions, my goal is to empower these students to build confidence and achieve success in their educational journey.